TAMIU Students Craft Children’s Books, Donate to University’s Lamar Bruni Vergara Literacy Partnership
Texas A&M International University (TAMIU) students are making a difference in the lives of children, one book at a time.
Students enrolled in the Multilingual Children’s Literature course this past Spring 2020 semester crafted a series of children’s books that will be used by student tutors involved in the TAMIU-Lamar Bruni Vergara (LBV) Literacy Partnership.
A total of 42 books were created by 42 University students for donation to the TAMIU - LBV Literacy Partnership. The student authors provided the children’s books to the TAMIU - LBV Literacy Partnership tutors during a Book Hand-Off event Tuesday, June 1 in the Great Room, located inside the Sue and Radcliffe Killam Library.
The collaborative service-learning project was formed after Dr. Kaitlyn M. Culliton, assistant professor of English in the University’s College of Arts and Sciences, sought to offer students enrolled in the course an opportunity to take part in their education.
“The fact that these students are future teachers and will be responsible for inspiring a love of literature in the next generation of students made it feel particularly important that this class be something special,” explained Dr. Culliton.
She continued, “Together, we came up with the idea to have the Children’s Literature students write books that the TAMIU-LBV Literacy Partnership could use to tutor their students. We are working together to encourage literacy in young readers by increasing access to children’s works that authentically represent the Laredo community.”
Throughout the collaborative process, students wrote, illustrated, and published their original picture books that engaged with their community and reflected on their own experiences.
Most importantly, students gained an acute awareness of the literacy needs affecting young readers and focused on addressing these pressing issues through their honed creations, Culliton noted.
“Significant research has demonstrated that early literacy is the best way to offer students lifelong academic success and to bridge achievement gaps between students. However, early literacy acquisition is subject to several social and cultural challenges. The TAMIU-LBV Literacy Partnership provides tutoring to address early achievement gaps by reading with students in weekly tutoring sessions. The books that the Multicultural Children’s Literature students create help to address other factors,” Culliton explained.
These books focus on additional factors of representation, language, and authentic cultural expression that are found in Laredo, and how these issues are portrayed to young readers.
## These calculated crystals were left in the piece by mistake
........
# 1
## CaCoMo2 (PBE)

Data for a relaxed structure of CaCoMo2.

Calculated values
Formation energy in kJ/mol of formula units: 218
Total moment in μB/atom: 0.00
Distance to the lowest polymorph of the same formula in meV/atom: 139.9
Calculated volume in Å³ per atom: 18.87
Theoretical density in kg/m³: 6398

a = 9.1476 Å, b = 3.0570 Å, c = 5.6302 Å
α = 90.00°, β = 106.46°, γ = 90.00°
Space group Cm (No. 8)
Symmetry-distinct sites (fractional):
1 Ca 0.0000 0.0000 0.0000 (multiplicity 2)
2 Co 0.2373 0.0000 0.6847 (multiplicity 2)
3 Mo 0.0194 0.5000 0.5221 (multiplicity 2)
4 Mo 0.2965 0.5000 0.3647 (multiplicity 2)

=====

# 2
## Sr2ZnRh (PBE)

Data for a relaxed structure of Sr2ZnRh.

Calculated values
Formation energy in kJ/mol of formula units: -46
Total moment in μB/atom: 0.00
Calculated volume in Å³ per atom: 26.26
Theoretical density in kg/m³: 5430

a = 5.2841 Å, b = 5.2841 Å, c = 3.7625 Å
α = 90.00°, β = 90.00°, γ = 90.00°
Space group P4/mmm (No. 123)
Symmetry-distinct sites (fractional):
1 Sr 0.0000 0.5000 0.0000 (multiplicity 2)
2 Zn 0.0000 0.0000 0.5000 (multiplicity 1)
3 Rh 0.5000 0.5000 0.5000 (multiplicity 1)

=====

# 3
## Tm3ZnSe2 (PBE)

Data for a relaxed structure of Tm3ZnSe2.

Calculated values
Total moment in μB/atom: 0.00
Electronic total energy in eV for the cell shown: -58.00
Calculated volume in Å³ per atom: 23.41
Theoretical density in kg/m³: 8631

a = 3.9018 Å, b = 5.7323 Å, c = 12.5611 Å
α = 90.00°, β = 90.00°, γ = 90.00°
Space group Immm (No. 71)
Symmetry-distinct sites (fractional):
1 Tm 0.0000 0.0000 0.0000 (multiplicity 2)
2 Tm 0.0000 0.0000 0.3345 (multiplicity 4)
3 Zn 0.0000 0.5000 0.0000 (multiplicity 2)
4 Se 0.0000 0.5000 0.3314 (multiplicity 4)

=====

# 4
## Ga2H6Au (PBE)

Data for a relaxed structure of Ga2H6Au.

Calculated values
Total moment in μB/atom: 0.00
Electronic total energy in eV for the cell shown: -101.24
Calculated volume in Å³ per atom: 13.27
Theoretical density in kg/m³: 4761

a = 7.8178 Å, b = 7.8178 Å, c = 7.8178 Å
α = 90.00°, β = 90.00°, γ = 90.00°
Space group Fm-3m (No. 225)
Symmetry-distinct sites (fractional):
1 Ga 0.2500 0.2500 0.2500 (multiplicity 8)
2 H 0.0000 0.0000 0.2176 (multiplicity 24)
3 Au 0.0000 0.0000 0.0000 (multiplicity 4)

=====

# 5
## Sc2Be2AlRu5 (PBE)

Data for a relaxed structure of Sc2Be2AlRu5.

Calculated values
Formation energy in kJ/mol of formula units: -409
Total moment in μB/atom: 0.00
Calculated volume in Å³ per atom: 13.92
Theoretical density in kg/m³: 7635

a = 9.3209 Å, b = 9.3209 Å, c = 3.2055 Å
α = 90.00°, β = 90.00°, γ = 90.00°
Space group P4/mbm (No. 127)
Symmetry-distinct sites (fractional):
1 Sc 0.1721 0.3279 0.0000 (multiplicity 4)
2 Be 0.1263 0.6263 0.0000 (multiplicity 4)
3 Al 0.0000 0.0000 0.0000 (multiplicity 2)
4 Ru 0.0000 0.5000 0.5000 (multiplicity 2)
5 Ru 0.0692 0.7953 0.5000 (multiplicity 8)

=====

# 6
## Sn3MoSe (PBE)

Data for a relaxed structure of Sn3MoSe.

Calculated values
Total moment in μB/atom: 0.84
........
The book sets will reside in literacy centers in TAMIU-LBV Literacy Partnership schools across Laredo. Additionally, a featured read-aloud of the books will be available via YouTube at TAMIU-LBV Literacy Partnership.
Student authors are currently generating quizzes that will be used to supplement the school’s Accelerated Reader (AR) collections. Through the read-alouds and potential AR point accumulation, Culliton hopes to additionally expand the project’s reach and further integrate the books into the local community.
“We want to continue to increase access to these books. We are seeking funding to be able to subsidize copies of the books that students can bring home to their own families. Eventually, we hope to add additional community partners that would benefit from the donation of additional book sets,” Culliton reiterated.
Future endeavors also include publishing opportunities with publishing houses to make these children’s books accessible to a larger regional, national and international audience.
The TAMIU-LBV Literacy Partnership is a community engagement initiative of Texas A&M International University funded by the Lamar Bruni Vergara Charitable Trust. Through the LBV Trusts’ generous support, the Partnership provides one-to-one tutoring to children throughout Laredo and professional development targeting early literacy. The collaborative effort includes support from Laredo College, Laredo Independent School District, and United ISD. Together, the TAMIU-LBV Partnership has established literacy centers throughout Laredo to better promote grade-level reading in early elementary years.
For more information, contact Dr. Culliton at 956.326.2647 or email kaitlyn.culliton@tamiu.edu.
Additional information on the TAMIU – LBV Literacy Partnership is available online at https://www.tamiu.edu/engagement/lp/index.shtml.
Students enrolled in the Multilingual Children’s Literature course this past Spring 2020 semester crafted a series of children’s books that will be used by student tutors involved in the TAMIU-Lamar Bruni Vergara Literacy Partnership (TAMIU-LBV). The books were handed off to the TAMIU-LBV Literacy Partnership during an in-person event that included a children's book display, at the Sue and Radcliffe Killam Library Great Room.